Could you say how many lines of the entries underneath hold the word "XYZ", as a bare number?

Molecular formula: C12H26MgN6O6
Method: DFT, wB97M-V/def2-TZVPD

The geometry in XYZ format:
```
51
Properties=species:S:1:pos:R:3:forces:R:3:mulliken_charge:R:1
O -3.359847 -1.709683 -0.592347 1.72 -0.49 -0.81 -0.60
H -2.770911 -2.314901 -1.186108 -1.27 1.91 1.66 0.28
Mg 0.456909 -0.349025 -0.369873 -2.24 1.70 0.43 1.27
N -0.106805 -1.410466 1.600601 1.19 0.12 1.93 0.44
N -2.282335 -0.684052 0.089237 2.46 -2.18 -0.71 0.59
N 2.143288 0.998042 -1.337354 -0.14 2.40 -1.27 0.34
N -0.389432 0.722622 -2.122329 0.95 2.93 -1.09 0.33
O 0.876577 -1.593016 2.373966 -1.88 0.22 -1.50 -0.71
O 3.401382 1.521495 -0.925201 -0.46 -1.28 0.55 -0.53
O -1.718361 0.847931 -2.420509 0.51 -0.37 -0.53 -0.61
O -2.546872 0.578630 -0.034008 -1.21 0.76 -0.49 -0.86
C -2.421944 -1.044628 1.469463 -0.43 -0.17 -0.75 0.35
C -1.351022 -1.463751 2.206795 -0.32 0.11 -0.50 0.32
C 1.764667 1.671591 -2.401461 1.65 -0.97 2.67 -0.10
C 0.371919 1.571388 -2.819398 -1.55 -2.49 0.86 0.67
C -1.515123 -1.852597 3.620987 0.01 -0.23 0.88 -1.79
H -1.914529 -1.040403 4.224036 -0.10 0.15 0.01 0.39
H -0.573257 -2.129438 4.070477 0.29 -0.08 -0.05 0.38
H -2.188762 -2.700651 3.737212 -0.07 -0.02 -0.10 0.44
C -3.796734 -0.866250 1.963871 -0.49 -0.25 0.77 -1.30
H -4.485746 -1.356426 1.262045 0.23 0.24 0.21 0.32
H -4.027316 0.209669 1.968482 0.06 -0.30 -0.01 0.25
H -3.927364 -1.295032 2.962489 -0.08 0.24 -0.18 0.41
C 2.761467 2.638123 -2.907607 -0.11 0.76 -1.38 -1.35
C -0.130118 2.376727 -3.965776 -0.22 0.25 -0.07 -1.49
H 3.699085 2.126539 -3.125923 -0.07 -0.03 -0.04 0.35
H 3.016482 3.410152 -2.177475 -0.23 -0.11 0.02 0.30
H 2.412185 3.119651 -3.815891 0.02 0.12 -0.10 0.38
H -1.152550 2.075942 -4.187844 0.16 0.05 -0.09 0.39
H 0.508861 2.263992 -4.854013 -0.17 -0.07 0.30 0.39
H -0.140778 3.441621 -3.705869 0.02 -0.08 -0.04 0.33
H 3.658637 0.968581 -0.163867 -0.33 0.03 -0.47 0.34
H -2.181503 0.705737 -1.530257 -0.03 -0.03 0.53 0.43
C 1.684899 -1.715287 -0.807094 1.70 -3.07 -0.19 -1.15
H 1.897990 -2.416093 0.024614 -0.03 0.19 -0.29 0.28
H 2.656843 -1.286027 -1.095429 -0.23 -0.57 -0.43 0.23
H 1.226520 -2.370047 -1.582376 0.71 0.31 -0.04 0.28
O 2.811433 -3.829026 2.364552 -0.07 0.40 0.27 -0.63
H 3.722071 -3.514401 2.239803 -0.70 0.09 0.05 0.30
H 2.228735 -3.052967 2.524292 0.80 -0.54 -0.36 0.37
C 2.510204 2.192415 3.663243 0.11 -0.22 -0.32 -0.77
N 1.370776 2.631957 2.839415 0.38 0.47 0.94 0.03
C 0.834876 3.991231 2.958110 -0.16 0.12 -0.35 -0.85
C 0.960652 1.895868 1.855279 -1.11 -1.42 -1.88 0.28
N 0.530868 1.250407 0.979752 0.81 1.22 1.65 -0.48
H 2.541313 2.829844 4.549275 0.00 -0.20 -0.11 0.28
H 3.459171 2.297347 3.107577 -0.33 -0.05 0.28 0.30
H 2.369516 1.139802 3.962272 0.08 0.48 -0.12 0.27
H 1.178455 4.622101 2.122041 -0.14 -0.14 0.32 0.32
H -0.265535 3.953702 2.962529 0.42 0.08 0.01 0.31
H 1.193765 4.409872 3.896997 -0.11 0.00 -0.08 0.28
```
Positions in Å, forces in eV/Å.

Properties
relative energy (zero: lowest compared OMol25 entry of this formula, charge and spin) = 3.754 eV
HOMO = -7.353 eV
strongest force on any atom = 0.0683 hartree/bohr
molecular weight = 374.68 g/mol
total charge = 0
multiplicity = 1

***

Molecular formula: C4H11NO2S
Method: DFT, wB97M-V/def2-TZVPD

The geometry in XYZ format:
```
19
Properties=species:S:1:pos:R:3:forces:R:3:mulliken_charge:R:1
C -1.142452 -0.170040 0.669142 -0.93 -0.44 1.67 -0.59
C -1.001763 1.221200 0.116097 1.46 0.88 0.61 -0.51
S -1.794846 2.531111 1.132270 -0.44 -1.40 -0.07 0.23
C -0.639192 -1.208672 -0.328938 1.69 -2.82 -0.39 0.39
N 0.647708 -1.638690 -0.101404 1.14 0.89 1.34 -0.15
C 1.521555 -1.089671 0.941708 0.88 -0.38 0.32 -0.93
O -1.270435 -1.817375 -1.173379 -0.87 1.50 0.32 -0.59
H -0.632737 -0.344355 1.712179 -1.07 0.65 -2.11 0.37
H -2.221570 -0.350201 0.765557 0.25 -0.40 0.14 0.42
H 0.063486 1.499073 0.113729 -0.29 0.23 -0.28 0.33
H -1.345294 1.303657 -0.917826 -0.25 0.17 0.01 0.49
H -1.011164 3.552155 0.825388 0.48 0.51 -0.34 0.29
H 1.043007 -2.471076 -0.529324 -0.93 0.27 -0.33 0.29

2